What to do =
Your job: find the line underneath that holds "3:lowdin_charge:R:1", then echo that line and all lines after it there.
File =
=====
(1)
{"formula": "C6H11NO", "method": "the ωB97M-V functional and the def2-TZVPD basis", "elements": ["C", "C", "C", "C", "C", "N", "C", "H", "H", "H", "H", "H", "H", "H", "H", "H", "O", "H", "H"], "xyz": [[2.88, 0.28, 0.28], [1.66, 0.99, -0.35], [0.33, 0.43, 0.01], [-0.06, 0.17, 1.36], [-1.42, 0.03, 1.38], [-1.88, 0.23, 0.10], [-0.82, 0.41, -0.73], [2.61, -0.78, 0.44], [3.75, 0.26, -0.36], [3.12, 0.60, 1.29], [1.68, 2.03, -0.06], [1.88, 0.95, -1.42], [0.58, 0.09, 2.23], [-2.10, 0.09, 2.21], [-2.81, -0.05, -0.15], [-0.82, 0.59, -1.80], [-2.99, -2.17, -1.81], [-3.52, -1.88, -1.07], [-2.07, -2.27, -1.58]], "e_above_lowest_kj_mol": 100.4, "smiles": "CCc1cc[nH]c1.O", "lumo_energy_ev": 0.700, "orbital_gap_ev": 9.034}

(2)
{"formula": "C4H5NO2", "method": "the ωB97M-V functional and the def2-TZVPD basis", "elements": ["O", "C", "C", "C", "N", "C", "O", "H", "H", "H", "H", "H"], "xyz": [[1.48, -0.08, 1.58], [1.01, -0.92, 0.85], [-0.27, -0.73, 0.06], [-0.97, 0.56, 0.44], [-0.36, 1.56, -0.45], [0.24, 0.89, -1.34], [0.22, -0.47, -1.28], [1.52, -1.88, 0.67], [-0.88, -1.63, 0.05], [-2.05, 0.53, 0.24], [-0.80, 0.79, 1.50], [0.78, 1.29, -2.19]], "e_above_lowest_kj_mol": 134.1, "smiles": "O=C[C@H]1CN=CO1", "lumo_energy_ev": 0.669, "orbital_gap_ev": 10.417}

~~~~~

The following is a quantum chemistry calculation of an isolated ion of composition C36H36N3 and charge +1, from OMol25.

```
75
Properties=species:S:1:pos:R:3:forces:R:3:lowdin_charge:R:1
C 1.89455 4.58692 5.16424 1.377 -0.291 -0.016 0.03
C 1.01614 4.72747 3.98492 -2.362 -0.567 -0.216 -0.20
C 1.16752 5.91401 3.11346 0.630 1.189 0.103 0.02
N -0.00865 3.92182 3.76092 0.829 1.746 0.081 0.05
C -1.14160 4.40861 3.00486 -0.003 0.613 -0.787 -0.24
C -2.16479 4.98818 3.75143 0.261 -0.158 0.192 -0.03
C -3.25012 5.57055 3.10584 0.312 -0.151 -0.196 -0.04
C -3.23149 5.64527 1.70594 0.048 0.149 -0.035 -0.05
C -2.17519 5.09885 0.96353 0.055 -0.107 0.168 -0.05
C -1.12192 4.43963 1.61255 -0.307 0.173 0.255 -0.01
C -0.06493 2.59565 4.34245 0.337 -1.987 0.948 -0.19
C -1.30978 1.80619 3.98657 -0.596 -0.489 0.031 -0.17
C -2.51550 2.08146 4.63272 -0.062 0.002 -0.063 -0.04
C -3.70508 1.45548 4.26437 -0.108 -0.229 -0.356 0.01
C -3.70548 0.50489 3.22550 0.442 0.192 0.099 -0.23
N -4.88615 -0.08571 2.68964 -0.246 0.933 -0.535 -0.10
C -5.01696 0.09449 1.22988 0.168 -0.139 0.381 -0.06
C -5.42377 -1.24350 3.27077 0.154 -0.698 0.292 -0.22
C -5.85711 -2.30250 2.44162 0.235 0.154 0.421 -0.03
C -6.36496 -3.46627 3.01932 -0.245 0.349 0.410 -0.08
C -6.51885 -3.55540 4.41141 0.197 0.029 -0.145 -0.10
C -6.05055 -2.52291 5.23994 0.010 0.121 -0.452 -0.08
C -5.47402 -1.37836 4.67961 -0.171 -0.275 -0.502 -0.02
C -2.48047 0.15663 2.64921 -0.151 -0.071 0.249 0.01
C -1.29981 0.75204 3.06620 0.125 0.355 -0.362 0.00
C 1.17054 1.85734 3.88757 0.262 0.056 -0.010 -0.25
C 1.90989 1.04898 4.75707 -0.223 0.424 -0.396 -0.02
C 3.06229 0.42854 4.30442 -0.394 -0.142 0.285 0.00
C 3.44644 0.50738 2.94408 -0.062 -0.383 0.141 -0.18
N 4.51259 -0.22970 2.45202 0.101 0.598 -0.278 -0.08
C 4.72020 -0.25306 1.00982 0.112 -0.048 0.007 -0.05
C 5.24877 -1.14601 3.23289 0.668 -0.616 0.536 -0.22
C 5.53589 -2.42397 2.70762 -0.223 0.169 0.414 -0.02
C 6.15229 -3.38816 3.50819 0.305 0.359 0.195 -0.07
C 6.54613 -3.08160 4.81910 -0.309 0.052 -0.013 -0.09
C 6.31167 -1.79766 5.33167 0.162 -0.075 -0.472 -0.08
C 5.73134 -0.81658 4.52197 -0.276 -0.285 -0.272 -0.05
C 2.65093 1.28266 2.07002 -0.105 0.139 -0.225 0.00
C 1.54801 1.97740 2.55232 0.211 -0.158 0.255 -0.04
H 2.86245 5.03748 4.90747 -0.169 -0.138 0.169 0.11
H 1.51308 5.18195 6.01268 -0.235 -0.112 -0.430 0.13
H 2.09927 3.56911 5.50942 -0.308 0.216 -0.174 0.09
H 2.01137 6.48494 3.50990 -0.136 0.088 -0.231 0.09
H 1.40614 5.66535 2.06805 -0.147 -0.230 0.379 0.12
H 0.29860 6.59156 3.08191 0.129 -0.472 0.123 0.12
H -2.05064 4.96358 4.84427 -0.357 0.129 -0.535 0.13
H -4.07666 5.96247 3.70159 0.271 0.021 -0.338 0.12
H -4.02486 6.19310 1.18897 0.234 -0.355 0.163 0.12
=====
Here it is =
Properties=species:S:1:pos:R:3:forces:R:3:lowdin_charge:R:1
C 1.89455 4.58692 5.16424 1.377 -0.291 -0.016 0.03
C 1.01614 4.72747 3.98492 -2.362 -0.567 -0.216 -0.20
C 1.16752 5.91401 3.11346 0.630 1.189 0.103 0.02
N -0.00865 3.92182 3.76092 0.829 1.746 0.081 0.05
C -1.14160 4.40861 3.00486 -0.003 0.613 -0.787 -0.24
C -2.16479 4.98818 3.75143 0.261 -0.158 0.192 -0.03
C -3.25012 5.57055 3.10584 0.312 -0.151 -0.196 -0.04
C -3.23149 5.64527 1.70594 0.048 0.149 -0.035 -0.05
C -2.17519 5.09885 0.96353 0.055 -0.107 0.168 -0.05
C -1.12192 4.43963 1.61255 -0.307 0.173 0.255 -0.01
C -0.06493 2.59565 4.34245 0.337 -1.987 0.948 -0.19
C -1.30978 1.80619 3.98657 -0.596 -0.489 0.031 -0.17
C -2.51550 2.08146 4.63272 -0.062 0.002 -0.063 -0.04
C -3.70508 1.45548 4.26437 -0.108 -0.229 -0.356 0.01
C -3.70548 0.50489 3.22550 0.442 0.192 0.099 -0.23
N -4.88615 -0.08571 2.68964 -0.246 0.933 -0.535 -0.10
C -5.01696 0.09449 1.22988 0.168 -0.139 0.381 -0.06
C -5.42377 -1.24350 3.27077 0.154 -0.698 0.292 -0.22
C -5.85711 -2.30250 2.44162 0.235 0.154 0.421 -0.03
C -6.36496 -3.46627 3.01932 -0.245 0.349 0.410 -0.08
C -6.51885 -3.55540 4.41141 0.197 0.029 -0.145 -0.10
C -6.05055 -2.52291 5.23994 0.010 0.121 -0.452 -0.08
C -5.47402 -1.37836 4.67961 -0.171 -0.275 -0.502 -0.02
C -2.48047 0.15663 2.64921 -0.151 -0.071 0.249 0.01
C -1.29981 0.75204 3.06620 0.125 0.355 -0.362 0.00
C 1.17054 1.85734 3.88757 0.262 0.056 -0.010 -0.25
C 1.90989 1.04898 4.75707 -0.223 0.424 -0.396 -0.02
C 3.06229 0.42854 4.30442 -0.394 -0.142 0.285 0.00
C 3.44644 0.50738 2.94408 -0.062 -0.383 0.141 -0.18
N 4.51259 -0.22970 2.45202 0.101 0.598 -0.278 -0.08
C 4.72020 -0.25306 1.00982 0.112 -0.048 0.007 -0.05
C 5.24877 -1.14601 3.23289 0.668 -0.616 0.536 -0.22
C 5.53589 -2.42397 2.70762 -0.223 0.169 0.414 -0.02
C 6.15229 -3.38816 3.50819 0.305 0.359 0.195 -0.07
C 6.54613 -3.08160 4.81910 -0.309 0.052 -0.013 -0.09
C 6.31167 -1.79766 5.33167 0.162 -0.075 -0.472 -0.08
C 5.73134 -0.81658 4.52197 -0.276 -0.285 -0.272 -0.05
C 2.65093 1.28266 2.07002 -0.105 0.139 -0.225 0.00
C 1.54801 1.97740 2.55232 0.211 -0.158 0.255 -0.04
H 2.86245 5.03748 4.90747 -0.169 -0.138 0.169 0.11
H 1.51308 5.18195 6.01268 -0.235 -0.112 -0.430 0.13
H 2.09927 3.56911 5.50942 -0.308 0.216 -0.174 0.09
H 2.01137 6.48494 3.50990 -0.136 0.088 -0.231 0.09
H 1.40614 5.66535 2.06805 -0.147 -0.230 0.379 0.12
H 0.29860 6.59156 3.08191 0.129 -0.472 0.123 0.12
H -2.05064 4.96358 4.84427 -0.357 0.129 -0.535 0.13
H -4.07666 5.96247 3.70159 0.271 0.021 -0.338 0.12
H -4.02486 6.19310 1.18897 0.234 -0.355 0.163 0.12